How to know that you are soul mates

Author: Mark Sanchez
Date Of Creation: 1 January 2021
Update Date: 2 July 2024
How to Recognize Your Soulmate - Soulmate Signs So You Know
Video: How to Recognize Your Soulmate - Soulmate Signs So You Know


We all dream of finding the perfect guy who will love us forever, so to speak, a kindred spirit. Imagining life with our soul mate, as a rule, we picture in our minds a happy life in love and harmony until the end of our days. However, the key to a happy, lifelong relationship is more than just the trivial magic we imagine as children. It is a balance of mutual attraction, communication and long-term goals. With a pinch of natural attraction and plenty of commitment, your relationship can last your entire life.


Method 1 of 3: Feel the spark

********
AcNdV2O8 | PBE with a Hubbard U | optimized geometry

DOS(E_F) (states/eV/atom): 0.00
Symmetry: No. 147
Energy (Ry/atom): -0.5814
Total moment (Bohr magnetons per cell): 0.00

Cell: 5.771 5.771 7.447 Å, 90.00 90.00 120.00°
Fractional positions:
Ac1 0.000 0.000 0.000
Nd1 0.000 0.000 0.500
V1 0.333 0.667 0.797
V2 0.667 0.333 0.203
O1 0.164 0.834 0.726
O2 0.166 0.330 0.726
O3 0.330 0.164 0.274
O4 0.333 0.667 0.022
O5 0.667 0.333 0.978
O6 0.670 0.836 0.726
O7 0.834 0.670 0.274
O8 0.836 0.166 0.274

~~~~~

Record 1
The following is a DFT calculation (PBE-GGA) of a geometry-optimized PmTl3As2O6 structure.

a = 6.097 Å, b = 6.097 Å, c = 7.370 Å
α = 90.00°, β = 90.00°, γ = 120.00°
Sites, in units of the cell vectors:
Pm 0.000 0.000 0.000
Tl 0.000 0.000 0.500
Tl 0.333 0.667 0.174
Tl 0.667 0.333 0.826
As 0.333 0.667 0.704
As 0.667 0.333 0.296
O 0.182 0.364 0.816
O 0.182 0.818 0.816
O 0.364 0.182 0.184
O 0.636 0.818 0.816
O 0.818 0.182 0.184
O 0.818 0.636 0.184

Calculated values
uncorrected formation energy	-35.55	kcal/mol of atoms
SG	P-3m1
total DFT energy (no corrections)	-5.783	eV per atom

---

Record 2
The following is a DFT calculation (PBE-GGA) of a geometry-optimized PmTlAsO5 structure.

a = 6.129 Å, b = 6.129 Å, c = 7.471 Å
α = 90.07°, β = 90.07°, γ = 106.26°
Sites, in units of the cell vectors:
Pm 0.130 0.870 0.750
Pm 0.870 0.130 0.250
Tl 0.500 0.500 0.000
Tl 0.500 0.500 0.500
As 0.228 0.772 0.250
As 0.772 0.228 0.750
O 0.117 0.880 0.071
O 0.120 0.883 0.429
O 0.157 0.478 0.251
O 0.366 0.634 0.750
O 0.478 0.157 0.751
O 0.522 0.843 0.249
O 0.634 0.366 0.250
O 0.843 0.522 0.749
O 0.880 0.117 0.571
O 0.883 0.120 0.929

Calculated values
uncorrected formation energy	-40.92	kcal/mol of atoms
SG	C2/c
total DFT energy (no corrections)	-6.344	eV per atom

---

What did the first record say?
The following is a DFT calculation (PBE-GGA) of a geometry-optimized PmTl3As2O6 structure.

a = 6.097 Å, b = 6.097 Å, c = 7.370 Å
α = 90.00°, β = 90.00°, γ = 120.00°
Sites, in units of the cell vectors:
Pm 0.000 0.000 0.000
Tl 0.000 0.000 0.500
Tl 0.333 0.667 0.174
Tl 0.667 0.333 0.826
As 0.333 0.667 0.704
As 0.667 0.333 0.296
O 0.182 0.364 0.816
O 0.182 0.818 0.816
O 0.364 0.182 0.184
O 0.636 0.818 0.816
O 0.818 0.182 0.184
O 0.818 0.636 0.184

Calculated values
uncorrected formation energy	-35.55	kcal/mol of atoms
SG	P-3m1
total DFT energy (no corrections)	-5.783	eV per atom

---

- Among the records above, which one has the highest uncorrected formation energy?
  PmTl3As2O6

---

- Which of these has the highest uncorrected formation energy?
  PmTl3As2O6

---

- Among the records above, which one has the lowest total DFT energy (no corrections)?
  PmTlAsO5
********

  1. 1 Think about the mutual attraction between you. If your significant other is next to you, then you are strongly attracted to each other. Are you looking forward to spending time together and miss each other when apart? Do you notice his gaze on you even when you're not trying to get attention? Do you catch yourself staring at him? Mutual attraction isn't just about physical attraction:
    • these are his actions: the way he behaves, how he behaves and how stupid he dances when he thinks that no one is seeing;
    • this is his interaction with other people: the way he jokes with his friends, how he plays with your dog, how he buys ice cream in a cafe for his niece;
    • it is the sound of his voice: his laughter and the little catchphrases he uses all the time.
  2. 2 Determine how well you understand each other. If your significant other is next to you, then you understand each other perfectly. You don't need to tell him that you are tired and want to stay at home in the evening - he sees it in your face. And you, too, can tell when he is tired. How well do you understand each other's body language and mood? This natural harmony makes you feel "made for each other."
    • Remember, understanding each other's moods and needs does not mean that you always feel the same way. It just means that there is deep empathy between you, and that you value each other's feelings highly.
  3. 3 Compare your sexual preferences. How interconnected are your desires? Do you have a similar libido? If your significant other is next to you, then you should be aware of each other's preferences, and you should enjoy performing them together.
    • Don't think that you will naturally converge sexually. Many people get nervous trying something new in the bedroom. Discuss your desires with each other. If you are not satisfied, let your partner know what you want from him. You will never know if you are truly compatible if you are not open to each other.
    • Don't worry if sex is not a priority in your relationship (provided that it is not a priority for either of you and that both of you are satisfied after the intercourse).

Method 2 of 3: Communicate with each other

  1. 1 Assess how well you work together. Soul mates are a team. If your significant other is next to you, then you are covering each other's backs. You know that when times are tough, you will face them together.
    • Do you tell each other about your problems? Does he listen to you when you are upset and tell you that he is there in case you need help? Are you doing the same for him?
    • If you need help, does he do his best to support you? A soul mate won't go out to friends while you are building a new bookshelf alone. He will be next to you with a hammer in his hands.
  2. 2 Determine your level of trust. If your significant other is next to you, it means that you are comfortable telling the person what you would not tell other people, and he does the same. You saw each other's vulnerabilities and lived the most difficult moments together. You don't worry that he will leave if he sees the real you, because he has already seen it and he likes it. And you also love him with all his flaws.
    • Are you comfortable telling him what you are ashamed or embarrassed of? Does he listen to you without judgment? Does it reveal itself to you? If you're soul mates, opening up should be easy because you know you love and support each other no matter what.
  3. 3 Compare your interests and hobbies. If your significant other is with you, you should have many similar interests. You don't have to love everyone the same, but you must have at least a few big interests in common. If you are a true bookworm, your soul mate will most likely enjoy reading as well. If you are a nature lover, your soulmate probably doesn't mind spending time outside the home, too.
    • Don't expect your spouse to love everything you do and vice versa. Both of you are unique individuals, and this is partly why you love each other. But you must share at least a few core interests and readily acknowledge others.
  4. 4 Pay attention to how you handle disagreements. Soul mates have a lot in common, support and listen to each other, but this does not mean that they have no disagreements. If your significant other is next to you, then you know that your love is stronger than any conflicts that arise between you.Both of you should feel comfortable facing challenges face to face because you know that it makes your relationship stronger and helps you become a better person.
    • Can you calmly tell him that he is wrong when you think so? Is it convenient for him to tell you about it? And when he criticizes you, you should listen because you know that, above all, he supports you and wants you to be the best version of yourself.
    • How do you swear? Soul mates do not offend each other and do not hide resentment after a quarrel that occurred six months ago. When you argue with your significant other, the goal is to work on your problems and strengthen the relationship. The goal is not simply to win the argument.
  5. 5 Rate your admiration for each other. Does he find you an interesting and fascinating person? Does he find your jokes funny? Does he value your intelligence? If there is a significant other next to you, then the person believes in you and encourages you to believe in yourself, and you should do the same for him.
    • This does not mean that you do not notice each other's shortcomings. But you must be able to accept these shortcomings as part of what makes your partner who they are.
  6. 6 Ask yourself how well you know each other. If you are soul mates, you know not only the big things, but also the small details of everyday life, because you care about your partner and prioritize each other. Does he know which scrambled eggs you prefer and what shoe size you have? Do you know which tram he takes home from work or which section of the newspaper he likes to read first?

Method 3 of 3: Build the Future

  1. 1 Compare your goals for the future. Can you imagine a similar life in ten, twenty or thirty years? Your views do not have to be exactly the same, but if he imagines a quiet life in a house in the country, and you see yourself in a penthouse in Moscow City, there may be trouble ahead. Having similar goals helps you to be a team and work together to achieve what you want.
    • Do you have a similar view of the presence (absence) of children?
    • Do you have a similar view of owning your own home? What home, where and when do you want to own, if you do?
    • Do you have interrelated career goals? If you want to focus on your career and he wants to devote himself to raising children, have you discussed how to make both of these aspirations a reality?
  2. 2 Consider how you both manage your money. It's not very romantic, but financial problems are a common reason for breakups. If you find it safer to live with a large savings account and he wants to spend every penny he earns, chances are big problems await you.
    • Develop a financial plan that works for both of you and stick to it.
    • Always discuss any money-related issues. Nobody likes financial surprises, not even soul mates.
  3. 3 Don't discount your values. Are your religious and political beliefs interconnected? It is not necessary to have full agreement on these issues, but there should not be absolutely opposite opinions.
    • Do you attach a similar meaning to religion? The closer your religion is to you, the more important it is that you have similar religious beliefs. If you are devout and he is an atheist, your couple may have problems. But if both of you don't attach much importance to religion, then it doesn't really matter if you are Jewish and he is Muslim.
    • Do you have similar views on politics? If both of you are observing politics from the outside, then disagreements will not greatly damage your relationship. But if one of you is a staunch supporter of Putin and the other is Navalny, then you may have major disagreements. Of course, these questions can be resolved, but you will have to find a way to speak correctly about politics and listen to each other's opinions, even if you strongly disagree (and this can be a difficult task).
  4. 4 Assess your lifestyle. Are your lifestyles interconnected and do you enjoy spending time in a similar environment? If you're a stay-at-home and don't mind clutter, you might find it difficult to get along with a guy who is obsessed with cleanliness and hates sitting still. On the other hand, the union of two couch potatoes can turn into disaster (as well as two ultra-active careerists).Your lifestyle should complement each other, and both of you should nudge each other a little to try harder and get more rest.
    • Don't worry if your lifestyles aren't natural! You can work together to develop a routine that works for both of you.